| Latest Site News & Updates
- Location | Austin, Texas, USA (Vicinity Only - Exact Location Withheld)
- Lat/Long | Exact Location Withheld
- Image By | 091314
- Google Maps | 062113 (Screenshot Only - Exact Location Withheld)
- Latest Confirmation | 030922
Information Update History
We do not see many photos of this Futuro so it is great to get a "new look" at the unit. These photos come via the blog
austincubed whose owner recently visited this Futuro.
To steal a comment from
d369 on a recent
Instagram post "Coolness overload". A bunch of Tesla owners on a rally recently stopped by the Austin Futuro. Our thanks to owner Ira for sharing these photos.
The King Land & Water listing for the Yates Cattle and Conservation Ranch has now ended and the property and the Futuro remains "as is" for now.
We have always been a dog lovers and so we particularly enjoyed this photo that was recently posted to Instagram by
After failing to sell after some 6 months or so on the market the asking price for the
Yates Cattle and Conservation Ranch (which includes this Futuro) has now been reduced by a little over 20% to $7,200,000.
So you would like to own a Futuro? Have a cool $9,240,000 to spare? Then this is for you! King Land & Water have just listed the
Yates Cattle and Conservation Ranch, a 385 acre property in the Texas Hill Country for sale. The listing describes the property this way:
There is a property in the Hill Country where the bedded limestone strata and the historic layers of time come together to create a place like no other. Only 15 minutes from downtown Austin, Yates Cattle and Conservation Ranch's name says it all: a marriage of rich Texas ranching heritage with an array of unique natural resources in a protected, quiet world all its own. Saltlick is just minutes away, and the amazing restaurants of Austin are a mere short ride away down MoPac Boulevard, immersing you in the culture of music, food, art, nature, and outdoor recreation that makes Austin one of the most popular cities in the U.S.
Here, nature balances with activity, livestock with big city lights, and people with solitude. The ranch is centrally-located just southwest of downtown Austin on Bear Creek, fronting on northbound side of Highway 45 where it turns into South MoPac. Nestled into this amazing natural setting is a ranch where cattle, deer, neo-tropical songbirds, bats, turkey, people exist together in a balanced ecosystem for nature and man. Enter the ranch and enjoy the tranquility of nature at its best with immediate access to all the amenities of Austin. Location and beauty makes this ranch exceptional."
The property includes several improvements and among them is the Austin Futuro. So, not even a need to find a "home" for your new Futuro and deal with the complications and difficulties of relocating one. As an added bonus there is also the "Dome", a second "futuristic" structure, on the property (see photos below).
We are by no means wealthy but we are fortunate enough to have a good jobs, live a reasonably comfortable life and only infrequently feel the wish for "more". This however is one of those infrequent times where a tinge of jealousy for those more fortunate surfaces, even if only for a short time. Were we among the ultra-rich we could certainly see ourselves going for this; a pretty awesome property (we visited the property in 2014 so we speak with the voice of experience), a fantastic location that gives the feel of country despite its proximity to city and a Futuro included - what could be better?
Full information about the offering can be found in the
King Land & Water listing which includes descriptions, photos, maps and a slideshow. A "packet" containing most of these can be downloaded
The photos and video below show the Austin Futuro, the "Dome" which is also located on the property and a video slideshow which includes other photos of the property.
On 091314 we had the opportunity to visit the Austin Futuro; in addition to seeing and photographing the Futuro we were also able to look through a collection of original papers, drawings and plans associated with the Futuro that Ira, the owner, had kept. We would like to thank Ira, and Terry who also accompanied us, for spending time with us, chatting about Futuros and allowing us to photograph some of the archived papers.
The photos below provide a great look at this rarely photographed Futuro (and yes the "obligatory tourist photo" is included!). The first set of photos show the exterior of the Futuro. The exterior finish is in rather good condition. The window configuration is the most common US configuration of 16 windows around the circumference of the unit with two lower viewing windows.
This Futuro is notable in that it is mounted on 8' legs, much higher than "normal" but it retains the standard entry/door. An additional set of concrete steps is installed and the door lowers to the top of this set of steps. The door mechanism is not original and was replaced some time ago; it is controlled (from outside the Futuro) by means of a switch installed in the "tube" under the unit.
Despite the fact that the Austin Futuro has never been moved the joins between upper and lower hemispheres do show signs of deterioration as do the factory sealed joins between adjacent sections of each hemisphere.
The Austin Futuro was purchased in 1970 and has remained on the same site since. Ira's mother was very interested in all things "space" and "futuristic", as were many people at that time, and the family took a trip to the Futuro Corporation in Philadelphia to look at the Futuro with a view, at that time, to purchasing two of the units.
In the end only one Futuro was purchased; "Ira's Pod", and a different but similarly constructed "dome" was purchased for Ira's mother (which also still remains). Ira recalls how the Futuro they visited in Philadelphia was actually different in several ways from the one that was eventually installed in Austin. For example the unit in Philadelphia featured doorways with the "hatch style' seen in the original Finnish models where you would have to step over the lip at the bottom when passing through but the unit installed featured traditional doors with the bottom being flush with the floor.
In talking with Ira it became apparent that there was a great deal of opportunity for the customization of Futuros; mainly the internal fixtures and fittings but also the window configuration, the support struts and so on. We always knew that there were some options to customize but did not realize quite the extent to which that was offered.
The document shown below is a Fact Sheet about Futuro II, "Facts On The Futuro II Fiber-Glass House", and it lists some of the items that were available for customization (this document is very similar, but not identical, to this
Star Enterprises, Janesville, Wisconsin one which was sent to us some time ago by the
Hedberg Public Library in Janesville).
Among the customization options listed are the window configuration, additional or fewer or operable being among the options, differing lengths of support legs and the ability to "cluster" units by the use of interlocking sections.
This set of four drawings is a further illustration of the ability to customize; they show various aspects of the interior configuration of the Futuro being constructed for Ira and we can also see notes made by Ira's mother "discussing" further options and requirements. Ira tells us that the unit as installed matched these drawings very closely.
The letter below from the Futuro Corporation of Philadelphia Vice President Stanley H. Blumenthal, dated 042170, details the final delivered configuration of "Ira's Pod".
"Ira's Pod" ended up costing $14,975 as customized. Several modifications are listed in the letter including:
- Additional electrical outlets
- Installation of a drawer cabinet instead of a range
- Installation of four chaises instead of a sofa
- Manufacture of 8' long legs instead of the standard 3'
- An extra long Service Tue to match the 8' legs (Typo - Service Tube?)
- Two upper viewing windows (this option was removed and there are no upper viewing windows)
The Austin Futuro has a window configuration that includes the most common US configuration of 16 windows around the circumference of the unit and two lower "viewing windows" rather than the four in two rows of two commonly found in the European Futuros. We only recall a single Futuro with upper viewing windows installed, the Futuro House in
Frisco, NC.
Ira tells us that the reason for the 8' legs and the higher than normal mounting of the Futuro was so that you could view the skyline of downtown Austin from the Futuro. Some 44 years later the trees have done what trees do and grown and the Austin skyline is no longer visible from the Futuro.
The letter also indicates that while the Futuro House Corporation would supply "supervisors" for the installation of the Futuro the purchaser would be required to provide a crane and suitable work crew to undertake the actual work. As specified in the fact sheet above the Austin Futuro was delivered in two pre-assembled hemispheres (upper and lower sections were manufactured in 4 sections which were then mechanically joined and sealed). The two halves were joined and then the unit was hoisted by crane and the 4 support legs were installed and attached to the piers.

The carpets and seating chosen for "Ira's Pod" were blue as indicated in the letter above. Among the many documents, letters, plans etc. preserved from "back in the day" Ira even kept a "swatch" of the fabrics chosen and a shot of this can be seen at left. "Basque Blue" was chosen for the carpet and the seating was covered in blue sailcloth described on the "swatch" as Peacock Blue #14.
The Futuro Corporation offered a one year warranty on the Futuro House with the internal fixtures and fittings being covered not by the Futuro Corporation but by the original manufacturer's. In addition any defects resulting from improper installation or occurring during transit were excluded. The latter point is notable in that it presumably indicated that the transportation of the unit was the responsibility of the purchaser. If the shipper, in this case Futuro Of Philadelphia, were responsible for the shipment then presumably they would cover damages occurring in transit.

A copy of the standard warranty can be seen at left.
Post delivery and installation Ira lived in the Futuro House for its first 18 months on site and he tells us that he has also lived in the unit at other times over the years; in total he has lived in the Futuro for something like 5 years.
The interior of the Futuro has seen several changes over the course of its life; the original fixtures and fittings are now gone and the Futuro is empty inside (hence the lack of interior photos, with an empty interior one Futuro House looks much like another).
That said it is interesting to note that despite spending its entire life on one site and thus never having been disassembled the Futuro shows the same signs of deterioration as other Futuros at the join between upper and lower hemispheres; this can be seen in some of the photos above. In addition even the upright joins between sections in the same hemisphere that were sealed at the time of manufacture show signs of deterioration.
The entrance door is fully functional and controlled (from the outside) by means of a switch installed in the "tube" under the Futuro. The mechanism by which the entrance door functions has been replaced and is not original.
Ira tells us that he is planning some further refurbishment work and is planning on investing in a new interior for the unit. What form that interior will take is currently undecided as Ira tries to balance the design between "restoration" and "modern functionality". We are eager to hear exactly what the decisions are and, Ira be warned, we will be "knocking on your door" once the work is done to see what the "new" Austin Futuro looks like.
~~~
Entry from the OMol25 dataset: a structure of composition C5H5NO2 (ωB97M-V/def2-TZVPD).

Cartesian coordinates (Å):
C: 1.06 -0.38 -0.18
C: 0.16 1.71 0.07
C: -0.82 0.78 -0.01
C: -2.14 0.09 0.22
C: -0.37 -0.53 -0.27
H: 2.96 -0.38 1.01
H: 0.18 2.84 -0.02
H: -2.77 0.28 1.14
H: -2.96 0.21 -0.65
H: -1.83 -1.74 0.66
N: -1.69 -1.22 -0.17
O: 2.18 -1.17 0.13
O: 1.43 0.83 -0.13

The calculation puts the energy relative to the best compared isomer or geometry (same formula, charge and spin) at 178.9 kcal/mol. Its HOMO-LUMO gap is 7.307 eV. The HOMO energy is -7.853 eV. As for the charge: 0. For the molecular weight, the calculation gives 111.1 g mol⁻¹.

Atom charges from the natural (NBO) analysis, given in e for atoms 1 to 5: 0.604 -0.017 -0.124 -0.232 -0.051


Entry from the OMol25 dataset: an isolated molecule of C5H5NO2 (ωB97M-V/def2-TZVPD).

Cartesian coordinates (Å):
C: -2.51 -1.04 0.26
C: -1.08 -0.58 0.11
C: 0.03 -1.00 0.94
C: 1.24 -0.34 0.94
C: 1.24 0.71 -0.15
O: 2.23 1.39 -0.31
O: 0.19 0.82 -0.94
N: -0.90 0.22 -0.98
H: -2.75 -2.10 0.38
H: -2.90 -0.31 1.21
H: -3.12 -0.85 -0.59
H: -0.10 -2.04 1.58
H: 2.26 -0.39 1.57

The SMILES is Cc1ccc(=O)on1. The calculation puts the energy relative to the best compared isomer or geometry (same formula, charge and spin) at 98.1 kcal/mol. Its HOMO-LUMO gap is 9.022 eV. The HOMO energy is -9.357 eV. As for the charge: 0. For the molecular weight, the calculation gives 111.1 g mol⁻¹.

Atom charges from the natural (NBO) analysis, given in e for atoms 1 to 5: -0.640 0.114 -0.218 -0.257 0.688


Entry from the OMol25 dataset: a structure of composition C5H5NO2 (ωB97M-V/def2-TZVPD).

Cartesian coordinates (Å):
C: 0.57 0.59 1.10
C: 0.39 -0.84 0.79
C: -0.21 -1.42 -0.26
C: -0.38 -0.65 -1.26
C: 0.22 1.32 -0.02
H: 0.19 2.02 2.91
H: 1.85 1.10 2.79
H: 0.51 -1.46 1.61
H: -0.62 -2.43 -0.19
H: 0.16 2.30 -0.20
N: 0.75 0.92 2.50
O: -1.03 -0.98 -2.29
O: -0.34 0.74 -1.03

The calculation puts the energy relative to the best compared isomer or geometry (same formula, charge and spin) at 99.7 kcal/mol. Its HOMO-LUMO gap is 8.817 eV. The HOMO energy is -8.697 eV. As for the charge: 0. For the molecular weight, the calculation gives 111.1 g mol⁻¹.

Atom charges from the natural (NBO) analysis, given in e for atoms 1 to 5: -0.009 -0.086 -0.345 0.672 0.211


Entry from the OMol25 dataset: a structure of composition C5H5NO2S2 (ωB97M-V/def2-TZVPD).

Cartesian coordinates (Å):
C: 1.86 0.59 0.66
C: 1.87 -0.71 2.08
C: 1.04 0.58 4.08
C: -0.31 -0.51 -0.24
C: 0.74 0.52 -0.41
N: 1.62 -0.41 3.25
O: 1.65 1.65 4.23
O: -0.03 0.19 4.59
S: 3.15 1.51 0.19
S: 2.42 -1.87 0.98
H: -1.06 -0.50 -1.01
H: -0.55 -0.44 0.90
H: 0.17 -1.42 -0.27
H: 1.06 0.50 -1.45
H: 0.18 1.56 -0.46

The expectation value of S² is 2.012. Its HOMO-LUMO gap (alpha / beta) is 3.940 / 5.885 eV. The HOMO energy (alpha / beta) is 1.668 / -0.593 eV. Its multiplicity is 3. As for the charge: -2. For the molecular weight, the calculation gives 175.2 g mol⁻¹.
~~~
Finally in addition to the various letters and documents Ira shared with us (we could not photograph them all, it would have taken too long, but perhaps Ira will permit us another visit sometime on the future) we were able to take photographs of a set of various plans and blueprints. These are listed below with photographs; clicking on the images of the plans will bring up higher res versions which are readable.
The first two plans listed are full size architectural "blueprints", the second two are smaller architectural drawings (that do not have the "blue" hue that presumably gives "blueprints" their name) and the remaining 5 are a set of copies of plans on smaller white paper; all are original and from the time the Futuro was purchased and installed.
Radial Steel Layout | Drawing # 168 | 031470
Electrical Plan | Drawing # E1 | 050870
Steel Plan | Drawing # S-1 | 011470
Floor Plan | Drawing # A-1 | 010170
Someone pasted quantum chemistry results at this point =
┌──
1.
Here is C8H14AuBrN3O as an isolated structure from OMol25. Energies are from ωB97M-V/def2-TZVPD.

Structure (ORCA input):
```
! wB97M-V def2-TZVPD RIJCOSX def2/J DEFGRID3
* xyz 3 1
Au -0.230 0.859 -0.093
N -0.117 2.606 1.014
C 1.013 2.775 1.975
C 1.014 1.667 3.015
C 1.403 0.326 2.421
N 0.336 -0.258 1.567
H -0.084 3.357 0.314
H -1.008 2.720 1.506
H 0.887 3.742 2.468
H 1.949 2.829 1.418
H 0.037 1.604 3.508
H 1.736 1.916 3.793
H 1.577 -0.391 3.234
H 2.325 0.370 1.841
H -0.546 -0.365 2.079
H 0.605 -1.169 1.189
O -1.584 -3.571 -3.929
C -1.163 -2.610 -3.179
C 0.203 -2.362 -2.867
C 0.511 -1.363 -2.002
N -0.468 -0.567 -1.453
C -1.764 -0.768 -1.813
Br -2.901 0.533 -1.068
C -2.164 -1.744 -2.654
H -0.900 -4.160 -4.294
H 0.996 -2.952 -3.309
H 1.536 -1.150 -1.728
H -3.198 -1.872 -2.950
*
```

HOMO in eV: -20.506
Energy above the lowest of the compared OMol25 structures with the same formula, charge and spin in kcal per mole: 22.8
Orbital gap in eV: 5.4
Molar mass in g/mol: 445.1
LUMO energy in eV: -15.065



2.
Here is C8H14BaN3O2S2 as an isolated structure from OMol25. Energies are from ωB97M-V/def2-TZVPD.

Structure (ORCA input):
```
! wB97M-V def2-TZVPD RIJCOSX def2/J DEFGRID3
* xyz -1 1
C -0.737 0.153 -3.909
Ba -0.564 -2.042 -2.541
N -1.856 -1.794 0.477
N -3.472 -1.688 -2.240
H -2.366 -0.931 0.689
H -0.268 -4.514 -2.176
H 0.223 0.730 -3.908
H -1.699 0.710 -3.836
H -0.747 -0.645 -4.696
H -3.834 -1.051 -1.524
H -3.816 -2.612 -1.973
H -3.946 -1.443 -3.109
H -2.462 -2.552 0.793
H -1.040 -1.788 1.111
O 2.898 -1.734 1.017
S 1.608 -1.080 1.279
O 0.650 -1.782 2.124
N 0.858 -0.569 -0.151
C 0.729 0.786 -0.194
S -0.201 1.491 -1.376
C 1.361 1.481 0.926
C 1.429 2.851 1.212
C 1.958 3.283 2.429
C 2.429 2.355 3.373
C 2.387 0.982 3.096
C 1.853 0.585 1.874
H 1.053 3.543 0.461
H 2.002 4.349 2.653
H 2.825 2.699 4.324
H 2.746 0.227 3.795
*
```

HOMO in eV: -2.545
Energy above the lowest of the compared OMol25 structures with the same formula, charge and spin in kcal per mole: 0.0
Orbital gap in eV: 4.8
Molar mass in g/mol: 385.7
LUMO energy in eV: 2.253
└──
Pier Details | Drawing # PD-1 | 011470
Electrical Plan | Drawing # E1 | 010170
Elevation & Section | Drawing # A-2 | 011470
Heating & Ventilating | # HV-1 | 010170
Plumbing Plan | Drawing # P-1 | 010170
Original Information 062213
This week we received an email from the owner of a previously unknown (at least to us; we had never seen mention of it anywhere) Futuro House located in the vicinity of
To steal a quote from a car salesman - the Futuro has had "one careful owner". The owner tells us that the Futuro was purchased in 1970 (he still has the original purchase documents) and that it is still in use today.
We were able to locate the Futuro in Google Maps and the Google Maps screenshot above shows the Futuro as it appears in the latest imagery in Google Maps at full zoom. As expected Google Earth historical satellite imagery shows the Futuro on site as far back as the imagery goes; in this case 010695.
Inserted here: records of molecules
........
C3H5N4O2S | ωB97M-V with the def2-TZVPD basis set

Summary:
Total charge = -1
SMILES string = [H]/N=N\[N-]NC(=S)CC(=O)O
Total energy = -884.94415 a.u.
Orbital gap = 7.6 eV

Each line ends with the natural charge from an NBO analysis.
Positions of all 15 atoms, in Å:
H: 0.125 -0.730 1.524  0.297
N: 0.659 -0.260 2.263  -0.517
N: 1.250 0.729 1.797  0.047
N: 1.541 1.086 0.642  -0.238
N: 1.341 -0.127 -0.430  -0.593
C: 0.415 -1.007 -0.187  0.035
S: 0.378 -2.663 -0.422  -0.333
C: -0.991 -0.538 -0.575  -0.584
C: -1.421 1.055 -0.396  0.795
O: -2.578 1.353 -0.083  -0.633
O: -0.554 1.958 -0.748  -0.672
H: 2.221 -0.562 -0.566  0.377
H: -1.815 -1.205 -0.156  0.256
H: -0.881 -0.667 -1.690  0.243
H: 0.307 1.578 -0.972  0.520

C3H5N4O3 | ωB97M-V with the def2-TZVPD basis set

Summary:
Total charge = +1
Total energy = -561.82302 a.u.
Orbital gap = 11.1 eV

Each line ends with the natural charge from an NBO analysis.
Positions of all 15 atoms, in Å:
C: 0.633 -1.382 0.595  0.556
C: 2.284 0.266 0.563  0.375
C: -3.796 -0.440 -0.347  1.052
N: -0.533 2.644 0.027  0.044
N: 1.937 0.795 -0.527  -0.657
N: -0.083 -1.070 -0.445  -0.693
N: 0.455 2.454 -0.390  -0.038
O: -4.673 0.277 -0.067  -0.463
O: 1.678 -0.862 1.082  -0.411
O: -2.893 -1.077 -0.612  -0.578
H: 0.168 -1.900 1.443  0.223
H: 3.078 0.494 1.281  0.209
H: 2.395 1.657 -0.867  0.434
H: -0.976 -1.558 -0.827  0.498
H: 0.325 -0.298 -0.909  0.450

C3H5N5 | ωB97M-V with the def2-TZVPD basis set

Summary:
SMILES string = [H]/N=c1/nc[nH]n1N=C
Total energy = -390.93667 a.u.
Orbital gap = 8.7 eV

Each line ends with the natural charge from an NBO analysis.
Positions of all 13 atoms, in Å:
H: 0.680 2.085 0.693  0.347
N: -0.296 2.248 0.146  -0.694
C: -0.847 1.065 -0.050  0.560
N: -2.006 0.581 -0.330  -0.522
C: -2.012 -0.761 -0.088  0.290
N: -0.856 -1.307 0.396  -0.390
N: 0.076 -0.257 0.384  -0.222
N: 1.249 -0.871 -0.147  -0.254
C: 2.203 0.041 -0.186  -0.132
H: -2.901 -1.322 -0.350  0.214
H: -0.535 -2.124 -0.017  0.409
H: 2.243 1.130 0.201  0.198
H: 3.002 -0.509 -0.652  0.196


[1]
........
So much for the records of molecules
Since the owner has managed to keep this location private for over 40 years (at least from the internet community at large) despite the prying eyes of people like us we have chosen to keep the owner's name and the Futuro's exact location private. If at any point we are permitted to do so by the owner we will add the precise location information. In the meantime the Google Maps screenshot contains no information or detail that will identify the exact location.
Our thanks to the owner of the Austin Futuro for sharing this information and for sending us several photographs of the "new" Futuro.
None currently known.

This photograph by
_kayla_lynn taken 030922.
The original photograph can be seen on Instagram